Wednesday, August 6, 2008

**Someone pasted records of crystals at this point:**
-- begin --
1.
Computed, not measured: an optimized crystal structure of LaNdIrRu at the PBE-GGA level of DFT.

Structure (CIF):
```
data_LaNdIrRu
_chemical_formula_sum 'La4 Nd4 Ir4 Ru4'
_symmetry_space_group_name_H-M 'F -4 3 m'
_symmetry_Int_Tables_number 216
_symmetry_space_group_name_Hall 'F -4 2 3'
_cell_length_a 7.112
_cell_length_b 7.112
_cell_length_c 7.112
_cell_angle_alpha 90.00
_cell_angle_beta 90.00
_cell_angle_gamma 90.00
loop_
_atom_site_label
_atom_site_fract_x
_atom_site_fract_y
_atom_site_fract_z
La1 0.000 0.000 0.000
Nd1 0.000 0.000 0.500
Ir1 0.250 0.250 0.250
Ru1 0.250 0.250 0.750
```

Output
* energy of formation: -0.31 eV per atom

2.
Computed, not measured: an optimized crystal structure of NpCdP2O8 at the PBE-GGA level of DFT.

Structure (CIF):
```
data_NpCdP2O8
_chemical_formula_sum 'Np1 Cd1 P2 O8'
_symmetry_space_group_name_H-M 'P -3 m 1'
_symmetry_Int_Tables_number 164
_symmetry_space_group_name_Hall '-P 3 2"'
_cell_length_a 5.4178
_cell_length_b 5.4178
_cell_length_c 6.6983
_cell_angle_alpha 90.00
_cell_angle_beta 90.00
_cell_angle_gamma 120.00
loop_
_atom_site_label
_atom_site_fract_x
_atom_site_fract_y
_atom_site_fract_z
Np1 0.0000 0.0000 0.0000
Cd1 0.0000 0.0000 0.5000
P1 0.3333 0.6667 0.6908
O1 0.1777 0.3555 0.7796
O2 0.3333 0.6667 0.4675
```

Output
* E_form (uncorrected): -2.18 eV/atom

3.
Computed, not measured: an optimized crystal structure of ZrNiMo at the PBE-GGA level of DFT.

Structure (CIF):
```
data_ZrNiMo
_chemical_formula_sum 'Zr18 Ni18 Mo18'
_symmetry_space_group_name_H-M 'R -3 m'
_symmetry_Int_Tables_number 166
_symmetry_space_group_name_Hall '-R 3 2"'
_cell_length_a 5.1748
_cell_length_b 5.1748
_cell_length_c 38.2713
_cell_angle_alpha 90.00
_cell_angle_beta 90.00
_cell_angle_gamma 120.00
loop_
_atom_site_label
_atom_site_fract_x
_atom_site_fract_y
_atom_site_fract_z
Zr1 0.0000 0.0000 0.0442
Zr2 0.0000 0.0000 0.1788
Zr3 0.0000 0.0000 0.2601
Ni1 0.0066 0.5033 0.7800
Mo1 0.0000 0.0000 0.3936
Mo2 0.0000 0.0000 0.5000
Mo3 0.0000 0.5000 0.0000
```

Output
* energy of formation: -0.22 eV per atom

no.,E (eV per atom)
1,-7.266
2,-7.540
3,-8.609

----------

A plane-wave DFT calculation with PBE-GGA was carried out for a geometry-optimized V3CrFe2 structure.

Cell lengths 2.8902, 2.8902, 8.5991 Å; angles 90.00, 90.00, 90.00 degrees
Last column: nearest neighbours and their distance in Å.
Sites, in units of the cell vectors:
V 0.0000 0.0000 0.0000  8 Fe 2.48
V 0.0000 0.0000 0.6643  4 Cr 2.48, 4 Fe 2.53
V 0.0000 0.0000 0.3357  4 Cr 2.48, 4 Fe 2.53
Cr 0.5000 0.5000 0.5000  8 V 2.48
Fe 0.5000 0.5000 0.8372  8 V 2.48-2.53
Fe 0.5000 0.5000 0.1628  8 V 2.48-2.53

Calculated values
ΔH_f (0 K) (eV/atom): -0.144
Polymorph energy (0 for the lowest one) (eV per formula unit): 0.05
DOS(E_F) (states/eV/atom): 0.819
Space-group type: P4/mmm (123)
M_tot (Bohr magnetons per cell): 0.76
E_tot (eV per atom): -9.128

----------

*1*
Below is a relaxed Pr2Y7Tm3 crystal, with properties calculated at the GGA-PBE level.
-- stop --

Surrender, by any other name...

What with the new baby and all, I completely forgot to cover the July 4?Th Parade Committee meeting last Friday at the VFW. The headline in today’s Gazette indicates that the Committee made no decision on the Town Manager’s offer/bribe to provide insurance and police security for free (about 10% total overhead) in exchange for allowing protesters.

If I were still a committee member resignation post my immediate response would be --excuse the military metaphor--“NUTS!” Especially after I found out on my return from China about the despicable display of non-veteran protesters infiltrating behind the “Iraq Veterans Against The War” banner.

Would the town really run its own July 4TH Parade next year (and would any spectators come?) if the private Committee sticks to their guns? Hell no!

The Town Manager, at ACLU urging, already backed off his April 23 declaration that the private committee could not hold a July 4th parade on July 4 so when the ACLU also threatens a federal lawsuit for not giving them the time slot held for seven straight years he will also cave.

And we saw most recently how lawsuit-shy the Select Board is even after the BIG CITY town attorney told them they had nothing to worry about over scheduling the election to replace X-Czar Awad on September 16 thus disenfranchising Umass students from running for the office.

Yesterday’s Republican article suggests the town’s 250 Anniversary Parade is in trouble. Chairman Barry Roberts candidly admits they “ can use a lot of help and money with the parade.” Well maybe they ought to solicit the protesters at $500 per placard.

And if the town is now struggling with this once in 250 years Parade how are they going to deal with promoting two? Obviously two Select Board members—Brewer and O’Keeffe will not support that, and patriotically-challenged Awad is gone as of 8/31, so the Town Manager had better start watching his back.

I hope the Committee comes to a clear, decisive decision soon.


  1. The Town Manager changed his posture because the Board voted a unanimous 'sense of the board' that Shaffer ought not disenfranchise the Parade Committee.

    They may have been motivated by reasons stated in the ACLU letter but Shaffer showed no signs of taking it into consideration, not one iota, just a willful stubbornness based on some inexplicable self assured moral righteousness.

    Create where due, stubborn refusal to accept new information where due, too.

    The Town Manager, at ACLU urging, already backed off his April 23 declaration that the private committee could not hold a July 4th parade on July 4 so when the ACLU also threatens a federal lawsuit for not giving them the time slot held for seven straight years he will also cave.

  2. Per O'Reilly's quote:

    "...just a willful stubbornness based on some inexplicable self assured moral righteousness."

    Sounds like an apt description of players on both sides of this debate.

    As Larry likes to say, "hmmmm....."

  3. Actually I stole that from Stephanie.

    And my "self assured moral righteousness" is based on a 9-0 Federal Supreme Court decision.

  4. Larry there you go again, making statements that are going to haunt you and show up in countless other places and will soon accuse you of assault and battery. "Watch his back?" Whoa, fighting words. In Amherst that is.

  5. Yes indeed!

    Hey at least that one is a jailhouse metaphor rather than military.

    One prominent guy in the legal profession criticized my use of the term “locked and loaded”; yet he was comfortable saying “keeping their powder dry” in reference to other middle-of-the-road Amherst political types staying out of this fiasco--at least until she stayed beyond the deadline for getting the replacement election on the already scheduled September Primary or November Presidential ballots (thus costing taxpayers less than a stand alone election)

  6. My righteousness (if you want to call it that) is based my understanding of the first amendment freedom of speech and right of association, not some self-assured moral bearing.

    Why do protest advocates rule out organizing their own event, with or without the organizational or financial resources of the town?

  7. O'Reilly said... Why do protest advocates rule out organizing their own event, with or without the organizational or financial resources of the town?

[1]
## LaSm2Pd (PBE)

Data for a relaxed structure of LaSm2Pd.

a b c (Å): 3.6485 3.6485 8.8357
angles (deg): 90.00 90.00 90.00
Fractional coordinates of all 4 atoms:
Sm (0.0000, 0.0000, 0.1921)
Sm (0.0000, 0.0000, 0.8079)
Pd (0.5000, 0.5000, 0.0000)
La (0.5000, 0.5000, 0.5000)

Calculated values
E above lowest polymorph: 68.3 meV/atom
total DFT energy (no corrections): -5.248 eV/atom
size of the total moment: 0.00 μB per formula unit
Fermi-level density of states: 1.55 states/eV per atom
ΔE_f: -0.36 eV per atom


[2]
## La2SmPd2 (PBE)

Data for a relaxed structure of La2SmPd2.

a b c (Å): 4.0952 8.1106 8.1106
angles (deg): 90.00 90.00 90.00
Fractional coordinates of all 10 atoms:
Pd (0.0000, 0.3706, 0.8706)
Pd (0.0000, 0.6294, 0.1294)
Pd (0.0000, 0.1294, 0.3706)
Pd (0.0000, 0.8706, 0.6294)
La (0.5000, 0.1684, 0.6684)
La (0.5000, 0.3316, 0.1684)
La (0.5000, 0.6684, 0.8316)
La (0.5000, 0.8316, 0.3316)
Sm (0.0000, 0.5000, 0.5000)
Sm (0.0000, 0.0000, 0.0000)

Calculated values
total DFT energy (no corrections): -5.655 eV/atom
size of the total moment: 0.00 μB per formula unit
Fermi-level density of states: 0.82 states/eV per atom
ΔE_f: -0.66 eV per atom


[3]
## LaSmPd4 (PBE)

Data for a relaxed structure of LaSmPd4.

a b c (Å): 4.2906 5.9276 10.1530
angles (deg): 90.00 102.20 90.00
Fractional coordinates of all 12 atoms:
La (0.4211, 0.2500, 0.8421)
La (0.5789, 0.7500, 0.1579)
Pd (0.4262, 0.7500, 0.8523)
Pd (0.1476, 0.0165, 0.2951)
Pd (0.8524, 0.9835, 0.7049)
Pd (0.0000, 0.0000, 0.0000)
Pd (0.8524, 0.5165, 0.7049)
Pd (0.0000, 0.5000, 0.0000)
Pd (0.5738, 0.2500, 0.1477)
Pd (0.1476, 0.4835, 0.2951)
Sm (0.2757, 0.7500, 0.5513)
Sm (0.7243, 0.2500, 0.4487)

Calculated values
E above lowest polymorph: 0.0 meV/atom
total DFT energy (no corrections): -5.891 eV/atom
size of the total moment: 0.00 μB per formula unit
Fermi-level density of states: 0.27 states/eV per atom
ΔE_f: -0.82 eV per atom


[4]
## LaSmPd10 (PBE)

Data for a relaxed structure of LaSmPd10.

a b c (Å): 4.5052 5.3629 9.2794
angles (deg): 90.00 90.00 90.00
Fractional coordinates of all 12 atoms:
Pd (0.5000, 0.7492, 0.7481)
Pd (0.0000, 0.5000, 0.1689)
Pd (0.0000, 0.0000, 0.3359)
Pd (0.5000, 0.2508, 0.2519)
Pd (0.0000, 0.5000, 0.8311)
Pd (0.5000, 0.5000, 0.0000)
Pd (0.0000, 0.0000, 0.6641)
Pd (0.5000, 0.7492, 0.2519)
Pd (0.5000, 0.2508, 0.7481)
Pd (0.5000, 0.0000, 0.5000)
Sm (0.0000, 0.5000, 0.5000)
La (0.0000, 0.0000, 0.0000)

Calculated values
total DFT energy (no corrections): -5.674 eV/atom
size of the total moment: 0.00 μB per formula unit
Fermi-level density of states: 1.01 states/eV per atom
ΔE_f: -0.54 eV per atom

~~~~~

Record 1
This record from Alexandria via LeMat-Bulk describes a geometry-optimized Nd8Bi3SbTe4 structure. The functional is PBE-GGA.

**Fermi-level density of states**: 7.8 states/eV/cell
**ΔE_f (raw)**: -1.25 eV/atom

Cell: 9.112 9.086 9.112 Å, 120.11 120.00 90.00°
Fractional coordinates of all 16 atoms:
1 Nd 0.251 0.251 0.501
2 Nd 0.754 0.255 0.001

    Because they are lazy & selfish? As in, "I want, so do it for me"

  8. I actually think that the audience for their parade, would be too small to get their point across. Parade committees' money and audience, for a bunch of jerks that do not know what freedom is all about and do not care how it came to be, would be a slap in committee's face.

== These records of crystals were left in the piece by mistake ==
+++
Density functional theory data (PBE) for CeAlTlHg after structural relaxation.

Cell and atoms, written as POSCAR:
```
CeAlTlHg
1.0
0.000 3.661 3.661
3.661 0.000 3.661
3.661 3.661 0.000
Ce Al Tl Hg
1 1 1 1
Cartesian
0.000 0.000 0.000
3.661 3.661 3.661
5.492 5.492 5.492
1.831 1.831 1.831
```

The uncorrected energy comes out at -13.0 eV for the cell shown.

=====

## LaWN2O (PBE+U)

Data for a relaxed LaWN2O crystal.

Lattice parameters (Å, degrees): 4.059 4.059 3.994 90.00 90.00 90.00
Space group P4/mmm (No. 123)
Unique sites:
La 0.000 0.000 0.000 (multiplicity 1)
W 0.500 0.500 0.500 (multiplicity 1)
N 0.000 0.500 0.500 (multiplicity 2)
O 0.500 0.500 0.000 (multiplicity 1)

Calculated values
DOS(E_F)   0.91 states/eV per cell
Calculated total energy   -0.2978 hartree per atom
Magnetization   0.38 μB/f.u.

=====

# 1
Density functional theory data (GGA-PBE) for crystalline ZrGaF6 at its relaxed geometry.

**Total magnetization**: 0.001 μB per formula unit
**Volume**: 15.357 Å³/atom
**D(E_F)**: 5.0 states/eV/cell
**ΔE_f (raw)**: -2950 meV per atom
**Mass density**: 3.72 Mg/m³
**SG**: C2/m, No. 12

Cell and atoms, written as CIF:
```
data_ZrGaF6
_chemical_formula_sum 'Zr2 Ga2 F12'
_cell_length_a 5.354
_cell_length_b 8.792
_cell_length_c 5.344
_cell_angle_alpha 90.00
_cell_angle_beta 102.38
_cell_angle_gamma 90.00
_symmetry_space_group_name_H-M 'P 1'
_symmetry_Int_Tables_number 1
loop_
_symmetry_equiv_pos_as_xyz
'x,y,z'
loop_
_atom_site_label
_atom_site_type_symbol
_atom_site_fract_x
_atom_site_fract_y
_atom_site_fract_z
_atom_site_occupancy
Zr1 Zr 0.000 0.000 0.000 1
Zr2 Zr 0.500 0.500 0.000 1
Ga1 Ga 0.000 0.500 0.500 1
Ga2 Ga 0.500 0.000 0.500 1
F1 F 0.241 0.147 0.239 1
F2 F 0.241 0.853 0.239 1
F3 F 0.244 0.000 0.752 1
F4 F 0.256 0.500 0.248 1
F5 F 0.259 0.353 0.761 1
F6 F 0.259 0.647 0.761 1
F7 F 0.741 0.353 0.239 1
F8 F 0.741 0.647 0.239 1
F9 F 0.744 0.500 0.752 1
F10 F 0.756 0.000 0.248 1
F11 F 0.759 0.147 0.761 1
F12 F 0.759 0.853 0.761 1
```

# 2
Density functional theory data (GGA-PBE) for crystalline ZrGaF5 at its relaxed geometry.

**Total magnetization**: 0.000 μB per formula unit
**Volume**: 20.405 Å³/atom
**D(E_F)**: 0.0 states/eV/cell
**ΔE_f (raw)**: -3074 meV per atom
**Mass density**: 2.98 Mg/m³
**SG**: C2/c, No. 15

Cell and atoms, written as CIF:
```
data_ZrGaF5
_chemical_formula_sum 'Zr2 Ga2 F10'
_cell_length_a 6.268
_cell_length_b 6.268
_cell_length_c 8.273
_cell_angle_alpha 109.26
_cell_angle_beta 109.26
_cell_angle_gamma 75.19
_symmetry_space_group_name_H-M 'P 1'
_symmetry_Int_Tables_number 1
loop_
_symmetry_equiv_pos_as_xyz
'x,y,z'
loop_
_atom_site_label
_atom_site_type_symbol
_atom_site_fract_x
_atom_site_fract_y
_atom_site_fract_z
_atom_site_occupancy
Zr1 Zr 0.000 0.000 0.000 1
Zr2 Zr 0.000 0.000 0.500 1
Ga1 Ga 0.491 0.509 0.750 1
Ga2 Ga 0.509 0.491 0.250 1
F1 F 0.062 0.938 0.250 1
F2 F 0.206 0.237 0.607 1
F3 F 0.237 0.206 0.107 1
F4 F 0.245 0.731 0.936 1
F5 F 0.269 0.755 0.564 1
F6 F 0.731 0.245 0.436 1
+++

  9. Yeah, plus there simply are not all that many of “them”. At the closed door meeting with the Town Manager Harry Brooks represented himself as the Chair of the town democratic committee (at the next meeting of that committee he was thrown out as chair) his WIFE Paulette Brooks represented herself as the Chair of the Republican Committee and in Amherst we know that is about three people, and the Green Party representative (gee, there’s another 1.5 people) and the rookie League of Women Voters President (their former President said she had not problems and loved the Parade). Thus these 4 or 5 folks purported to speak for thousands. And they only really speak for themselves. Selfish indeed.
